Postgres Feed

PG Phriday: Primal Planner Prep

Misplaced calculated crystals.
********
Record 1
Compound: Li9Mn2Co5O16
Source: the Materials Project database
Functional: PBE+U
Structure: relaxed

Results
Total DFT energy (no corrections) in eV per atom: -5.80
ΔE_f in meV per atom: -1809

Cell lengths 2.942, 9.728, 10.123 Å; angles 85.61, 87.53, 83.50 degrees
Fractional coordinates of all 32 atoms:
Li (0.000, 0.000, 0.000)
Li (0.004, 0.999, 0.496)
Li (0.135, 0.742, 0.687)
Li (0.233, 0.506, 0.865)
Li (0.244, 0.505, 0.374)
Li (0.489, 0.998, 0.743)
Li (0.501, 0.997, 0.248)
Li (0.740, 0.510, 0.626)
Li (0.751, 0.497, 0.125)
Mn (0.617, 0.750, 0.930)
Mn (0.871, 0.252, 0.310)
Co (0.111, 0.753, 0.187)
Co (0.368, 0.253, 0.059)
Co (0.374, 0.248, 0.561)
Co (0.625, 0.752, 0.444)
Co (0.871, 0.250, 0.810)
O (0.045, 0.861, 0.339)
O (0.086, 0.860, 0.854)
O (0.147, 0.646, 0.027)
O (0.212, 0.636, 0.519)
O (0.275, 0.373, 0.216)
O (0.300, 0.364, 0.719)
O (0.443, 0.134, 0.900)
O (0.468, 0.133, 0.404)
O (0.527, 0.863, 0.091)
O (0.563, 0.865, 0.572)
O (0.686, 0.633, 0.794)
O (0.703, 0.644, 0.284)
O (0.802, 0.365, 0.971)
O (0.809, 0.364, 0.468)
O (0.939, 0.132, 0.652)
O (0.942, 0.137, 0.154)



Record 2
Compound: La4TiMn5Pb2O18
Source: the Materials Project database
Functional: PBE+U
Structure: relaxed

Results
Total DFT energy (no corrections) in eV per atom: -7.70
ΔE_f in meV per atom: -2724

Cell lengths 5.546, 5.622, 12.445 Å; angles 103.01, 102.21, 90.03 degrees
Fractional coordinates of all 30 atoms:
La (0.000, 0.000, 0.000)
La (0.166, 0.170, 0.331)
La (0.499, 0.503, 0.000)
La (0.832, 0.840, 0.670)
Ti (0.248, 0.754, 0.500)
Mn (0.082, 0.588, 0.166)
Mn (0.417, 0.920, 0.835)
Mn (0.583, 0.087, 0.167)
Mn (0.749, 0.254, 0.500)
Mn (0.917, 0.420, 0.833)
Pb (0.335, 0.339, 0.670)
Pb (0.664, 0.667, 0.330)
O (0.000, 0.560, 0.001)
O (0.031, 0.493, 0.516)
O (0.123, 0.703, 0.819)
O (0.171, 0.609, 0.336)
O (0.205, 0.205, 0.861)
O (0.292, 0.298, 0.145)
O (0.332, 0.880, 0.665)
O (0.358, 0.823, 0.178)
O (0.458, 0.020, 0.479)
O (0.498, 0.941, 0.998)
O (0.538, 0.546, 0.520)
O (0.639, 0.647, 0.821)
O (0.668, 0.217, 0.335)
O (0.706, 0.150, 0.855)
O (0.796, 0.348, 0.140)
O (0.830, 0.272, 0.665)
O (0.878, 0.882, 0.181)
O (0.974, 0.972, 0.485)



Record 3
Compound: MgFeHO2
Source: the Materials Project database
Functional: PBE+U
Structure: relaxed

Results
Total DFT energy (no corrections) in eV per atom: -5.37
ΔE_f in meV per atom: -1423

Cell lengths 5.537, 3.176, 7.140 Å; angles 90.00, 91.42, 90.00 degrees
Fractional coordinates of all 10 atoms:
Mg (0.000, 0.000, 0.000)
Mg (0.500, 0.500, 0.000)
Fe (0.166, 0.500, 0.658)
Fe (0.666, 0.000, 0.658)
H (0.498, 0.500, 0.386)
H (0.998, 0.000, 0.386)
O (0.326, 0.000, 0.854)
O (0.497, 0.500, 0.524)
O (0.826, 0.500, 0.854)
O (0.997, 0.000, 0.524)



Record 4
Compound: CrNiP2O8
Source: the Materials Project database
Functional: PBE+U
Structure: relaxed

Results
Total DFT energy (no corrections) in eV per atom: -6.88
ΔE_f in meV per atom: -2226

Cell lengths 8.387, 8.387, 8.387 Å; angles 61.99, 61.99, 61.99 degrees
********

The Postgres query planner is house of cards built upon the ever-shifting sand of our data. It has the utterly impossible mission of converting our ridiculous and inane requests into a logical series of fetch, filter, sort, join, and other instructions. Then the resulting steps must be ruthlessly efficient or the execution phase could very well saturate every hardware resource available; Set Theory isn’t very forgiving. Forewarned is forearmed is very apt when applied to database query planners.

PG Phriday: Instant Runoff Through SQL

The United States held an election recently, and there has been some … mild controversy regarding the results. Many raised issues about this before the election itself, but what if we had used instant-runoff voting instead? More importantly, can we implement it with Postgres? Well, the answer to the last question is a strong affirmative. So long as we don’t break the results down into voting districts, and make wild unsupported assumptions regarding rankings, that is.

PG Phriday: Broken Parts

Partitioning tables in Postgres can be an extremely risky endeavor. Unfortunately on many larger systems, it’s also essentially a requirement; the maximum size of a Postgres table is 32TB. This isn’t just because converting an existing table to a series of partitions is expensive or time consuming. We must consider how the query planner will react to the partitioned version of a table. There’s also the very real risk we will (or already have) implement flaws in the trigger or constraint logic.

PG Phriday: Perfectly Logical

One of the things Postgres has been “missing” for a while is logical replication based on activity replay. Until fairly recently, in order to replicate single tables from one database to another, we had to encumber the table with performance-robbing triggers coupled to a third party daemon to manage transport. Those days might finally be behind us thanks to pglogical. But is it easy to use? Let’s give it a try on our trusty sensor_log table.

[Someone pasted materials data at this point]
┌──
MgUO3 | Materials Project | GGA-PBE | optimized geometry; magnetic moment = 2.00 Bohr magnetons per cell; E_tot = -39.92 eV for the cell shown
1.0
3.8130 0.0000 0.0000
0.0000 3.8130 0.0000
0.0000 0.0000 3.8130
Mg U O
1 1 3
Cartesian
1.9065 1.9065 1.9065
0.0000 0.0000 0.0000
1.9065 1.9065 0.0000
1.9065 0.0000 1.9065
0.0000 1.9065 1.9065


1.
Computed, not measured: a geometry-optimized TeRh structure at the PBE level of DFT.

Properties
Its space-group type is No. 194. As for the crystal system: hexagonal.

a b c (Å): 4.065 4.065 5.713
angles (deg): 90.00 90.00 120.00
Element x y z (fractional)
1 Te 0.333 0.667 0.250
2 Te 0.667 0.333 0.750
3 Rh 0.000 0.000 0.000
4 Rh 0.000 0.000 0.500

***

2.
Computed, not measured: a geometry-optimized Hf27Si6P10 structure at the PBE level of DFT.

Properties
The total magnetization comes out at 0.03 μB per cell. Its space-group type is No. 71. As for the crystal system: orthorhombic.

a b c (Å): 15.218 15.218 15.218
angles (deg): 166.76 101.85 79.71
Element x y z (fractional)
1 Hf 0.000 0.000 0.000
2 Hf 0.014 0.421 0.594
3 Hf 0.050 0.183 0.868
4 Hf 0.101 0.784 0.317
5 Hf 0.173 0.579 0.594
6 Hf 0.178 0.931 0.247
7 Hf 0.219 0.719 0.500
8 Hf 0.261 0.392 0.870
9 Hf 0.315 0.183 0.132
10 Hf 0.316 0.069 0.247
11 Hf 0.352 0.852 0.500
12 Hf 0.418 0.000 0.418
13 Hf 0.467 0.784 0.683
14 Hf 0.478 0.608 0.870
15 Hf 0.522 0.392 0.130
16 Hf 0.533 0.216 0.317
17 Hf 0.582 0.000 0.582
18 Hf 0.648 0.148 0.500
19 Hf 0.684 0.931 0.753
20 Hf 0.685 0.817 0.868
21 Hf 0.739 0.608 0.130
22 Hf 0.781 0.281 0.500
23 Hf 0.822 0.069 0.753
24 Hf 0.827 0.421 0.406
25 Hf 0.899 0.216 0.683
26 Hf 0.950 0.817 0.132
27 Hf 0.986 0.579 0.406
28 Si 0.075 0.342 0.733
29 Si 0.126 0.126 0.000
30 Si 0.390 0.658 0.733
31 Si 0.610 0.342 0.267
32 Si 0.874 0.874 0.000
33 Si 0.925 0.658 0.267
34 P 0.140 0.000 0.140
35 P 0.211 0.286 0.925
36 P 0.312 0.500 0.812
37 P 0.361 0.286 0.075
38 P 0.439 0.439 0.000
39 P 0.561 0.561 0.000
40 P 0.639 0.714 0.925
41 P 0.688 0.500 0.188
42 P 0.789 0.714 0.075
43 P 0.860 0.000 0.860

***

3.
Computed, not measured: a geometry-optimized Na6Hf3ZnSi2P4O24 structure at the PBE level of DFT.

Properties
The total magnetization comes out at 0.00 μB per cell. As for the energy above the lowest structure with this stoichiometry: 4 meV/atom.

a b c (Å): 15.707 9.069 9.088
angles (deg): 90.41 124.71 89.86
Element x y z (fractional)
1 Zn 0.605 0.742 0.056
2 Zn 0.105 0.242 0.056
3 O 0.065 0.054 0.911
4 O 0.431 0.549 0.574
5 O 0.927 0.846 0.757
6 O 0.645 0.166 0.401
7 O 0.077 0.859 0.734
8 O 0.942 0.938 0.091
9 O 0.742 0.170 0.252
10 O 0.360 0.848 0.603
11 O 0.853 0.640 0.074
12 O 0.850 0.418 0.257
13 O 0.546 0.162 0.066
14 O 0.414 0.630 0.255
15 O 0.041 0.330 0.574
16 O 0.563 0.452 0.426
17 O 0.427 0.346 0.757
18 O 0.931 0.049 0.574
19 O 0.570 0.656 0.245
20 O 0.145 0.666 0.401
21 O 0.653 0.939 0.253
22 O 0.541 0.830 0.574
23 O 0.070 0.156 0.245
24 O 0.245 0.316 0.756
25 O 0.046 0.662 0.066
26 O 0.442 0.438 0.091
27 O 0.353 0.140 0.074
└──

PG Phriday: Pesky Partition Plans

For all of those warehouse queries that never seem to complete before the heat death of the universe, there’s often a faster version. Sometimes this is due to a fundamental misunderstanding of how queries work, or how Postgres specifically functions. The trick is knowing when to back away slowly from an ugly but efficient query, and when to inject a flurry of predicates to fully illustrate the original intent of the query so the planner makes better decisions.